_Source_
[1]
One molecule with the formula C2H5NO at a distorted geometry, computed with ωB97M-V/def2-TZVPD.

Results
- HOMO energy: -8.29 eV
- E_LUMO: 0.6 eV
- Total charge: 0
- Relative energy (zero: lowest compared OMol25 entry of this formula, charge and spin): 519.1 kJ/mol
- Electronic energy: -209.0246 Ha

```
9
Properties=species:S:1:pos:R:3:nbo_charge:R:1
C -1.34 0.72 0.83 -0.10
C 0.77 -0.33 0.14 -0.45
N -0.57 0.11 0.10 -0.12
O -1.01 -0.09 -1.25 -0.57
H -0.27 0.13 -1.86 0.45
H -1.08 0.76 1.88 0.14
H 1.25 0.21 -0.60 0.19
H 1.40 -0.06 1.08 0.24
H 0.84 -1.44 -0.33 0.22
```



[2]
C5H7NO as an isolated structure at a distorted geometry, computed with ωB97M-V/def2-TZVPD.

Results
- HOMO energy: -7.68 eV
- E_LUMO: 0.3 eV
- Total charge: 0
- Relative energy (zero: lowest compared OMol25 entry of this formula, charge and spin): 341.6 kJ/mol
- Electronic energy: -324.5944 Ha

```

_Assignment_
Restate everything further up without altering anything.

_Solution_
[1]
One molecule with the formula C2H5NO at a distorted geometry, computed with ωB97M-V/def2-TZVPD.

Results
- HOMO energy: -8.29 eV
- E_LUMO: 0.6 eV
- Total charge: 0
- Relative energy (zero: lowest compared OMol25 entry of this formula, charge and spin): 519.1 kJ/mol
- Electronic energy: -209.0246 Ha

```
9
Properties=species:S:1:pos:R:3:nbo_charge:R:1
C -1.34 0.72 0.83 -0.10
C 0.77 -0.33 0.14 -0.45
N -0.57 0.11 0.10 -0.12
O -1.01 -0.09 -1.25 -0.57
H -0.27 0.13 -1.86 0.45
H -1.08 0.76 1.88 0.14
H 1.25 0.21 -0.60 0.19
H 1.40 -0.06 1.08 0.24
H 0.84 -1.44 -0.33 0.22
```



[2]
C5H7NO as an isolated structure at a distorted geometry, computed with ωB97M-V/def2-TZVPD.

Results
- HOMO energy: -7.68 eV
- E_LUMO: 0.3 eV
- Total charge: 0
- Relative energy (zero: lowest compared OMol25 entry of this formula, charge and spin): 341.6 kJ/mol
- Electronic energy: -324.5944 Ha

```